Formerly F.I.R.S.T now doing business as

• Misplaced calculated crystals:
********
(1)
A plane-wave DFT calculation with PBE was carried out for a relaxed CsBe2GeCl crystal.

Cell: 5.712 5.712 5.139 Å, 90.00 90.00 90.00°
Space group P4/mmm (No. 123)
Unique sites:
Cs (0.000, 0.000, 0.000) (multiplicity 1)
Be (0.000, 0.500, 0.500) (multiplicity 2)
Ge (0.500, 0.500, 0.000) (multiplicity 1)
Cl (0.500, 0.500, 0.500) (multiplicity 1)

Electronic total energy in eV per cell: -9.00
Calculated volume in Å³/atom: 33.54
D(E_F) in states/eV per cell: 3.2

=====

(2)
A plane-wave DFT calculation with PBE was carried out for a relaxed KLiCdPb2 crystal.

Cell: 5.310 5.310 5.330 Å, 90.00 90.00 90.00°
Space group P4/mmm (No. 123)
Unique sites:
K (0.000, 0.000, 0.000) (multiplicity 1)
Li (0.500, 0.500, 0.500) (multiplicity 1)
Cd (0.500, 0.500, 0.000) (multiplicity 1)
Pb (0.000, 0.500, 0.500) (multiplicity 2)

Electronic total energy in eV per cell: -11.39
Energy of formation from the pure elements in eV/atom: -0.0089
Calculated volume in Å³/atom: 30.06
D(E_F) in states/eV per cell: 1.6

=====

(3)
A plane-wave DFT calculation with PBE was carried out for a relaxed Er2MgTlC crystal.

Cell: 4.893 4.893 4.458 Å, 90.00 90.00 90.00°
Space group P4/mmm (No. 123)
Unique sites:
Er (0.000, 0.500, 0.000) (multiplicity 2)
Mg (0.000, 0.000, 0.500) (multiplicity 1)
Tl (0.500, 0.500, 0.500) (multiplicity 1)
C (0.000, 0.000, 0.000) (multiplicity 1)

Electronic total energy in eV per cell: -23.80
Energy of formation from the pure elements in eV/atom: -0.2980
Calculated volume in Å³/atom: 21.35
D(E_F) in states/eV per cell: 2.4

=====

(4)
A plane-wave DFT calculation with PBE was carried out for a relaxed Th4TcPb crystal.

Cell: 6.988 5.760 8.737 Å, 90.00 90.00 90.00°
Space group Pmn2_1 (No. 31)
Unique sites:
Th (0.000, 0.089, 0.000) (multiplicity 2)
Th (0.000, 0.778, 0.621) (multiplicity 2)
Th (0.240, 0.675, 0.210) (multiplicity 4)
Tc (0.000, 0.559, 0.924) (multiplicity 2)
Pb (0.000, 0.214, 0.375) (multiplicity 2)

Electronic total energy in eV per cell: -86.79
Energy of formation from the pure elements in eV/atom: 0.0599
Energy above the most stable polymorph in this dataset in eV/atom: 0.2173
Calculated volume in Å³/atom: 29.31
D(E_F) in states/eV per cell: 17.6

=====

(5)
A plane-wave DFT calculation with PBE was carried out for a relaxed CsZnIn2Fe crystal.

Cell: 6.513 6.513 4.930 Å, 90.00 90.00 90.00°
Space group P4/mmm (No. 123)
Unique sites:
Cs (0.000, 0.000, 0.000) (multiplicity 1)
Zn (0.500, 0.500, 0.500) (multiplicity 1)
In (0.000, 0.500, 0.000) (multiplicity 2)
Fe (0.000, 0.000, 0.500) (multiplicity 1)

Electronic total energy in eV per cell: -7.22
Energy of formation from the pure elements in eV/atom: 1.7696
Calculated volume in Å³/atom: 41.82
D(E_F) in states/eV per cell: 7.7

=====

(6)
A plane-wave DFT calculation with PBE was carried out for a relaxed TbAlZnPt crystal.

Cell: 6.645 6.645 6.645 Å, 90.00 90.00 90.00°
Space group F-43m (No. 216)
Unique sites:
Tb (0.000, 0.000, 0.000) (multiplicity 4)
Al (0.000, 0.000, 0.500) (multiplicity 4)
********
• Back to the text:

Israel War Relief Fund

Although First-Impact’s intended aid and relief response is much broader, global disasters, including wars are becoming an increasing and acute focus of our efforts. As natural disasters and wars increasingly wreak havoc on millions of lives, First-Impact seeks to provide core basic needs of clean water, basic medical supplies, and food supplements to those in a crisis due to recent destabilization and disruption of these life-threatening necessities. Wars are one of the greatest causes of widows and orphans and lack of these basic supplies threaten the lives of those who survive the actual conflict.

Imagine the loss of electricity, loss of clean water supplies, the diminishment or complete lack of access to basic medical care or provisions and the short and potential long-term disruption of the food supply chain. In many cases, masses of people have become refugees or completely lost their housing and livelihoods. No organization can solve all of these problems immediately, yet First-Impact is set up to provide the most critical needs as quickly as possible. Even basic medical care or sanitized food preparation cannot be administered without access to clean water, so clean water is an early primary focus in disaster relief.

First-Impact is the organization which can channel your funds through its multi-faceted, global partners to deliver these basic and core necessities to the right people, at the right time.

After returning from Ukraine last year and witnessing the bottlenecks that can happen with supplies haphazardly thrown toward relief and the always real threat of these supplies getting into the wrong hands, we selectively choose global partners who share our vision, beliefs and values and who can ensure timely and vetted distribution networks on the ground. Prayerfully consider making a substantial contribution to First-Impact today. This will allow us to put the funds to work now to position the provisions to provide relief when the natural disaster abates or the conflict adequately diminishes to effectuate relief efforts.

Terry Adams, President and Chairman of the Board

First-Impact ensures a safe pathway for the supplies to arrive in the area where needed


Portable water Filters / and Water Bladder Backpacks

This will ensure that no matter the condition, the people will have instant clean water

Food for the people

Dehydrated food that has a 25-year shelf life. Highest quality of nutrition for the people.
This food is kosher and Halal

Military-grade Medical Supplies

AS we get requests, we will fulfill the needs immediately

**Unrelated to this entry: data records**
/*
DFT (PBE) results for a geometry-optimized Rb2NdCuCl6 structure.

Cell lengths 7.474, 7.474, 7.474 Å; angles 60.00, 60.00, 60.00 degrees
Each line ends with the local moment (μB).
Positions (direct):
Cu 0.000 0.000 0.000  0.07
Rb 0.250 0.250 0.250  0.00
Rb 0.750 0.750 0.750  0.00
Nd 0.500 0.500 0.500  0.00
Cl 0.242 0.242 0.758  0.00
Cl 0.242 0.758 0.758  0.00
Cl 0.242 0.758 0.242  0.00
Cl 0.758 0.242 0.242  0.00
Cl 0.758 0.242 0.758  0.00
Cl 0.758 0.758 0.242  0.00

As for the formation energy without anion corrections: -1.75 eV/atom. The crystal system is cubic. As for the symmetry: Fm-3m, No. 225.


A.
# CsAg2I2

A geometry-optimized CsAg2I2 structure (PBE-GGA, the Alexandria database).

a = 5.734 Å, b = 5.734 Å, c = 10.877 Å
α = 90.00°, β = 90.00°, γ = 90.00°
Space group I4/mmm (No. 139)
One atom of each set of equivalent atoms:
Cs (0.000, 0.000, 0.000) x2
Ag (0.000, 0.000, 0.372) x4
I (0.000, 0.500, 0.250) x4

B.
# CsAg2I2

A geometry-optimized CsAg2I2 structure (PBE-GGA, the Alexandria database).

a = 9.316 Å, b = 9.316 Å, c = 4.503 Å
α = 90.00°, β = 90.00°, γ = 90.00°
Space group P4/mbm (No. 127)
One atom of each set of equivalent atoms:
Cs (0.000, 0.000, 0.000) x2
Ag (0.103, 0.397, 0.000) x4
I (0.240, 0.260, 0.500) x4

Most stable pick: A. Distance to second place: 1.4 kJ/mol of atoms.

A.
# CsAg3I

A geometry-optimized CsAg3I structure (PBE-GGA, the Alexandria database).

a = 5.829 Å, b = 5.829 Å, c = 5.829 Å
α = 90.00°, β = 90.00°, γ = 90.00°
Space group Pm-3m (No. 221)
One atom of each set of equivalent atoms:
Cs (0.000, 0.000, 0.000) x1
Ag (0.000, 0.500, 0.500) x3
I (0.500, 0.500, 0.500) x1

B.
# CsAg3I

A geometry-optimized CsAg3I structure (PBE-GGA, the Alexandria database).

a = 6.193 Å, b = 6.193 Å, c = 6.193 Å
α = 90.00°, β = 90.00°, γ = 90.00°
Space group Pm-3m (No. 221)
One atom of each set of equivalent atoms:
Cs (0.000, 0.000, 0.000) x1
Ag (0.000, 0.000, 0.500) x3
I (0.500, 0.500, 0.500) x1

Most stable pick: A. Distance to second place: 57.7 kJ/mol of atoms.

A.
# Cs2AgI3

A geometry-optimized Cs2AgI3 structure (PBE-GGA, the Alexandria database).

a = 10.877 Å, b = 5.137 Å, c = 21.008 Å
α = 90.00°, β = 90.00°, γ = 90.00°
Space group Pnma (No. 62)
One atom of each set of equivalent atoms:
Cs (0.085, 0.250, 0.210) x4
Cs (0.239, 0.750, 0.454) x4
Ag (0.143, 0.250, 0.636) x4
I (0.020, 0.750, 0.605) x4
I (0.128, 0.750, 0.069) x4
I (0.179, 0.250, 0.772) x4

B.
# Cs2AgI3

A geometry-optimized Cs2AgI3 structure (PBE-GGA, the Alexandria database).

a = 14.336 Å, b = 9.761 Å, c = 8.601 Å
α = 90.00°, β = 90.00°, γ = 90.00°
Space group Cmc2_1 (No. 36)
One atom of each set of equivalent atoms:
Cs (0.163, 0.172, 0.000) x8
Ag (0.000, 0.408, 0.484) x4
I (0.000, 0.127, 0.379) x4
I (0.142, 0.483, 0.731) x8

Most stable pick: A. Distance to second place: 6.6 kJ/mol of atoms.
*/

You make the decision on where your donation will have the largest IMPACT – clean water, nutritious food and/or medical supplies.

(Materials data that have nothing to do with the piece)
┌──
Record 1
{
  "formula": "Na13Pb2",
  "functional": "PBE",
  "state": "relaxed",
  "n_ef_per_ev_atom": 0.49,
  "final_energy_ev_per_cell": -24.76,
  "relative_energy_ev_per_atom": 0.0466,
  "cell": [[4.696, 2.711, 7.149], [-4.696, 2.711, 7.149], [0.000, -5.423, 7.149]],
  "species": ["Na", "Na", "Na", "Na", "Na", "Na", "Na", "Na", "Na", "Na", "Na", "Na", "Na", "Pb", "Pb"],
  "frac_coords": [[0.000, 0.000, 0.000], [0.121, 0.121, 0.513], [0.121, 0.513, 0.121], [0.303, 0.303, 0.691], [0.303, 0.691, 0.303], [0.309, 0.697, 0.697], [0.487, 0.879, 0.879], [0.513, 0.121, 0.121], [0.691, 0.303, 0.303], [0.697, 0.309, 0.697], [0.697, 0.697, 0.309], [0.879, 0.487, 0.879], [0.879, 0.879, 0.487], [0.140, 0.140, 0.140], [0.860, 0.860, 0.860]]
}

Record 2
{
  "formula": "Na8Pb",
  "functional": "PBE",
  "state": "relaxed",
  "n_ef_per_ev_atom": 0.38,
  "final_energy_ev_per_cell": -14.63,
  "cell": [[-5.435, 5.435, 2.560], [5.435, -5.435, 2.560], [5.435, 5.435, -2.560]],
  "species": ["Na", "Na", "Na", "Na", "Na", "Na", "Na", "Na", "Pb"],
  "frac_coords": [[0.000, 0.323, 0.323], [0.000, 0.677, 0.677], [0.323, 0.000, 0.323], [0.345, 0.345, 0.689], [0.345, 0.655, 0.000], [0.655, 0.345, 0.000], [0.655, 0.655, 0.311], [0.677, 0.000, 0.677], [0.000, 0.000, 0.000]]
}

Record 3
{
  "formula": "NaPb5",
  "functional": "PBE",
  "state": "relaxed",
  "n_ef_per_ev_atom": 0.66,
  "final_energy_ev_per_cell": -20.06,
  "cell": [[2.918, -5.496, 0.000], [2.918, 5.496, 0.000], [0.000, 0.000, 5.775]],
  "species": ["Na", "Pb", "Pb", "Pb", "Pb", "Pb"],
  "frac_coords": [[0.000, 0.000, 0.000], [0.163, 0.837, 0.500], [0.326, 0.674, 0.000], [0.500, 0.500, 0.500], [0.674, 0.326, 0.000], [0.837, 0.163, 0.500]]
}

Record 4
{
  "formula": "NaPb",
  "functional": "PBE",
  "state": "relaxed",
  "final_energy_ev_per_cell": -19.70,
  "cell": [[-4.822, 4.822, 4.822], [4.822, -4.822, 4.822], [4.822, 4.822, -4.822]],
  "species": ["Na", "Na", "Na", "Na", "Pb", "Pb", "Pb", "Pb"],
  "frac_coords": [[0.000, 0.000, 0.600], [0.000, 0.600, 0.000], [0.400, 0.400, 0.400], [0.600, 0.000, 0.000], [0.000, 0.000, 0.229], [0.000, 0.229, 0.000], [0.229, 0.000, 0.000], [0.771, 0.771, 0.771]]
}

Record 5
{
  "formula": "NaPd3Pb2",
  "functional": "PBE",
  "state": "relaxed",
  "n_ef_per_ev_atom": 0.69,
  "final_energy_ev_per_cell": -51.15,
  "relative_energy_ev_per_atom": 0.0474,
  "cell": [[-4.432, 5.125, 2.954], [4.432, -5.125, 2.954], [4.432, 5.125, -2.954]],
  "species": ["Na", "Na", "Pd", "Pd", "Pd", "Pd", "Pd", "Pd", "Pb", "Pb", "Pb", "Pb"],
  "frac_coords": [[0.499, 0.249, 0.250], [0.501, 0.751, 0.750], [0.000, 0.000, 0.500], [0.000, 0.250, 0.250], [0.000, 0.500, 0.000], [0.000, 0.750, 0.750], [0.500, 0.250, 0.750], [0.500, 0.750, 0.250], [0.166, 0.750, 0.417], [0.167, 0.250, 0.917], [0.833, 0.750, 0.083], [0.834, 0.250, 0.583]]
}
└──

If you simply want to help make an impact to the area of greatest need, donate to First-Impact; clean water to Thirst-Impact; nutritious food to Nutri-Impact and Medic-Impact for basic medical supplies. Simply click the Donate button on our website and you will be given the option of one of those four categories.